Wilwood brake systems are specialized high-quality and high-performance components designed for performance-oriented vehicles. These systems are used across a wide range of vehicles, from sports cars to racing vehicles. However, it is crucial to use the appropriate brake fluid for these systems to function correctly and have a long lifespan.

What Brake Fluid To Use In Wilwood Brakes

Brake fluid is a critical component in brake systems, transmitting hydraulic pressure and dissipating heat. The selection of the correct brake fluid for use in performance-oriented brake systems like Wilwood’s affects the system’s performance, reliability, and durability.

Selecting brake fluid in accordance with Wilwood’s manufacturer recommendations is essential for maximizing safety and performance. Typically, DOT (Department of Transportation) compliant brake fluids are used in Wilwood brake systems. These standards ensure that the fluid remains stable and maintains its performance within specific temperature ranges.

Brake fluids suitable for Wilwood brake systems generally fall into the DOT 3, DOT 4, or DOT 5.1 classifications. These fluids have properties such as high-temperature resistance, preventing moisture absorption, and corrosion prevention. However, it is important to refer to Wilwood’s product documentation or user manual to determine which type of brake fluid to use, as different models and systems may have varying requirements.

wilwood brake kits

wilwood brake kits

Between two parts of the text: calculated crystals >
-- begin --
# 1
The following is a GGA-PBE calculation of an optimized crystal structure of AlCoSnS2, from Alexandria.

- Total magnetization: 0.00 Bohr magnetons per cell
- ΔE_f (raw): 0.174 eV per atom
- Calculated volume: 95 Å³/cell
- SG: P4/mmm (123)

abc: 4.601 4.601 4.477
angles: 90.00 90.00 90.00
Positions (direct):
Al 0.000 0.000 0.000
Co 0.000 0.000 0.500
Sn 0.500 0.500 0.000
S 0.000 0.500 0.500
S 0.500 0.000 0.500

***

# 2
The following is a GGA-PBE calculation of an optimized crystal structure of Tm7Mg2Tc2, from Alexandria.

- Total magnetization: 0.00 Bohr magnetons per cell
- Calculated volume: 299 Å³/cell
- SG: Cmmm (65)
- E_form: 0.86 eV per formula unit

abc: 6.521 6.521 7.836
angles: 90.00 90.00 116.19
Positions (direct):
Tm 0.000 0.000 0.000
Tm 0.000 0.500 0.268
Tm 0.000 0.500 0.732
Tm 0.500 0.000 0.268
Tm 0.500 0.000 0.732
Tm 0.500 0.500 0.204
Tm 0.500 0.500 0.796
Mg 0.196 0.196 0.500
Mg 0.804 0.804 0.500
Tc 0.299 0.701 0.000
Tc 0.701 0.299 0.000

***

# 3
The following is a GGA-PBE calculation of an optimized crystal structure of Li2SbPb, from Alexandria.

- Total magnetization: 0.00 Bohr magnetons per cell
- Excess energy over the best structure of this formula in the dataset: 228 meV per atom
- ΔE_f (raw): -0.141 eV per atom
- Calculated volume: 91 Å³/cell
- SG: P4mm (99)

abc: 3.357 3.357 8.106
angles: 90.00 90.00 90.00
Positions (direct):
Li 0.000 0.000 0.000
Li 0.500 0.500 0.193
Sb 0.500 0.500 0.799
Pb 0.000 0.000 0.432

***

# 4
The following is a GGA-PBE calculation of an optimized crystal structure of KTm3As4O12, from Alexandria.

- Total magnetization: 0.00 Bohr magnetons per cell
- ΔE_f (raw): -1.880 eV per atom
- Calculated volume: 328 Å³/cell
- SG: R32 (155)

abc: 7.178 7.178 7.178
angles: 104.30 104.30 104.30
Positions (direct):
K 0.000 0.000 0.000
Tm 0.000 0.569 0.431
Tm 0.431 0.000 0.569
Tm 0.569 0.431 0.000
As 0.081 0.500 0.919
As 0.500 0.500 0.500
As 0.500 0.919 0.081
As 0.919 0.081 0.500
O 0.017 0.260 0.384
O 0.076 0.924 0.500
O 0.260 0.384 0.017
O 0.328 0.672 0.500
O 0.384 0.017 0.260
O 0.500 0.076 0.924
O 0.500 0.328 0.672
O 0.616 0.740 0.983
O 0.672 0.500 0.328
O 0.740 0.983 0.616
O 0.924 0.500 0.076
O 0.983 0.616 0.740

***

# 5
The following is a GGA-PBE calculation of an optimized crystal structure of ErTm2MgRh4, from Alexandria.

- Total magnetization: 0.00 Bohr magnetons per cell
- Calculated volume: 147 Å³/cell
- SG: R-3m (166)
- E_form: -7.04 eV per formula unit

abc: 8.144 8.144 8.144
angles: 33.51 33.51 33.51
Positions (direct):
Er 0.000 0.000 0.000
Tm 0.245 0.245 0.245
Tm 0.755 0.755 0.755
Mg 0.500 0.500 0.500
Rh 0.125 0.125 0.125
Rh 0.376 0.376 0.376
Rh 0.624 0.624 0.624
Rh 0.875 0.875 0.875

***

# 6
The following is a GGA-PBE calculation of an optimized crystal structure of BaTe2IO, from Alexandria.

- Total magnetization: 5.00 Bohr magnetons per cell
- Excess energy over the best structure of this formula in the dataset: 1184 meV per atom
- ΔE_f (raw): 0.384 eV per atom
- Calculated volume: 329 Å³/cell
-- stop --
So much for the calculated crystals >

DOT 3 brake fluid is typically suitable for standard driving conditions and has a wide range of applications. DOT 4 brake fluid offers higher temperature resistance and performance, making it preferable for high-performance applications. DOT 5.1 brake fluid offers similar properties to DOT 3 and DOT 4 but provides higher temperature resistance and is often used in racing applications.

In some special applications of Wilwood brake systems, especially where preserving elastomer seals is necessary, DOT 5 silicone-based brake fluid may be preferred. These brake fluids offer higher temperature tolerance and lower moisture absorption. However, due to DOT 5 fluids being silicone-based, they may cause compatibility issues and seal swelling in some brake systems.

In conclusion, the selection of brake fluid for use in Wilwood brake systems is critical for safety, performance, and longevity. Choosing the correct type and class of brake fluid in accordance with the manufacturer’s recommendations ensures optimal performance of the brake system and enhances vehicle safety.